Brief.
Your job: filter the calculation results further down: keep the lines with the word "hexagonal".
Source.
(1)
The following is a simulated powder diffraction line list of Sc4In3Ni. It was derived from a crystal structure in Alexandria, relaxed with PBE, using Cu Kα (λ = 1.5418 Å).
Neutral-atom scattering factors, no anomalous dispersion.

Cell: 3.226 3.226 16.132 Å, 90.00 90.00 90.00°
Space group P4/mmm (No. 123)
One atom of each set of equivalent atoms:
Sc 0.000 0.000 0.095 (multiplicity 2)
Sc 0.000 0.000 0.365 (multiplicity 2)
In 0.500 0.500 0.232 (multiplicity 2)
In 0.500 0.500 0.500 (multiplicity 1)
Ni 0.500 0.500 0.000 (multiplicity 1)

Largest 10 diffraction maxima, most intense first, 10 to 90 degrees two-theta:
| index | Position (°2θ) | Rel. int. |
| --- | --- | --- |
| 1 0 4 | 35.64 | 1000 |
| 1 1 0 | 39.51 | 484 |
| 2 1 4 | 69.16 | 260 |
| 1 0 0 | 27.65 | 183 |
| 0 0 4 | 22.04 | 159 |
| 1 0 3 | 32.36 | 152 |
| 2 0 0 | 57.11 | 145 |
| 1 1 8 | 61.37 | 107 |
| 1 1 7 | 56.79 | 101 |
| 1 1 4 | 45.70 | 97 |

(2)
The following is a simulated powder diffraction line list of InNi2Se. It was derived from a crystal structure in Alexandria, relaxed with PBE, using Cu Kα (λ = 1.5418 Å).
Neutral-atom scattering factors, no anomalous dispersion.

Cell: 4.512 4.512 14.782 Å, 90.00 90.00 90.00°
Space group I-42d (No. 122)
One atom of each set of equivalent atoms:
In 0.000 0.000 0.000 (multiplicity 4)
Ni 0.149 0.250 0.625 (multiplicity 8)
Se 0.000 0.000 0.500 (multiplicity 4)

Largest 10 diffraction maxima, most intense first, 10 to 90 degrees two-theta:
| index | Position (°2θ) | Rel. int. |
| --- | --- | --- |
| 1 1 2 | 30.52 | 1000 |
| 2 0 4 | 47.21 | 460 |
| 1 1 6 | 46.58 | 302 |
| 3 1 2 | 66.78 | 160 |
| 0 0 8 | 49.32 | 136 |
| 1 0 3 | 26.79 | 119 |
| 2 1 1 | 45.37 | 106 |
| 3 1 6 | 77.28 | 105 |
| 1 1 10 | 70.17 | 87 |
| 2 2 0 | 57.80 | 86 |

(3)
The following is a simulated powder diffraction line list of In2Si6Ni21. It was derived from a crystal structure in Alexandria, relaxed with PBE, using Cu Kα (λ = 1.5418 Å).
Neutral-atom scattering factors, no anomalous dispersion.

Cell: 11.235 11.235 11.235 Å, 90.00 90.00 90.00°
Space group Fm-3m (No. 225)
One atom of each set of equivalent atoms:
In 0.250 0.250 0.250 (multiplicity 8)
Si 0.000 0.000 0.232 (multiplicity 24)
Ni 0.000 0.000 0.500 (multiplicity 4)
Ni 0.000 0.174 0.326 (multiplicity 48)
Ni 0.118 0.118 0.118 (multiplicity 32)

Largest 10 diffraction maxima, most intense first, 10 to 90 degrees two-theta:
| index | Position (°2θ) | Rel. int. |
| --- | --- | --- |
| 3 3 3 | 41.78 | 1000 |
| 4 4 0 | 45.68 | 448 |
| 4 2 2 | 39.28 | 378 |
| 4 2 0 | 35.74 | 333 |
| 5 3 1 | 47.90 | 304 |
| 6 6 0 | 71.21 | 275 |
| 8 4 4 | 84.49 | 239 |
| 6 2 2 | 54.15 | 221 |
| 5 5 5 | 72.92 | 119 |
| 6 4 4 | 68.92 | 92 |

(4)
The following is a simulated powder diffraction line list of Th2InSi3Ni12. It was derived from a crystal structure in Alexandria, relaxed with PBE, using Cu Kα (λ = 1.5418 Å).
Neutral-atom scattering factors, no anomalous dispersion.

Cell: 7.3421 7.3421 18.8658 Å, 90.00 90.00 120.00°
Space group R-3m (No. 166, hexagonal axes)
One atom of each set of equivalent atoms:
Th 0.0000 0.0000 0.1046 (multiplicity 6)
In 0.0000 0.0000 0.5000 (multiplicity 3)
Si 0.0000 0.5000 0.0000 (multiplicity 9)
Ni 0.0159 0.5079 0.3665 (multiplicity 18)
Ni 0.0628 0.5314 0.8787 (multiplicity 18)

Largest 10 diffraction maxima, most intense first, 10 to 90 degrees two-theta:
| index | Position (°2θ) | Rel. int. |
| --- | --- | --- |
| 0 2 4 | 34.01 | 1000 |
| 2 2 0 | 49.67 | 661 |
| 2 0 8 | 48.04 | 570 |
| 1 1 3 | 28.15 | 549 |
| 0 1 5 | 27.49 | 546 |
| 1 0 1 | 14.70 | 536 |
| 1 2 5 | 44.71 | 463 |
| 1 2 2 | 38.66 | 335 |
| 1 1 0 | 24.24 | 288 |
| 2 0 5 | 36.97 | 287 |

(5)
The following is a simulated powder diffraction line list of ThInSi2Ni5. It was derived from a crystal structure in Alexandria, relaxed with PBE, using Cu Kα (λ = 1.5418 Å).
Neutral-atom scattering factors, no anomalous dispersion.

Cell: 3.768 3.768 10.671 Å, 90.00 90.00 90.00°
Space group P4/mmm (No. 123)
Response.
Space group R-3m (No. 166, hexagonal axes)